# Listing
........
Density functional theory data (PBE with a Hubbard U) for crystalline Cr3Co3Te2O16 at its relaxed geometry.

Cell lengths 10.057, 5.838, 9.118 Å; angles 90.00, 91.56, 90.00 degrees
Space group Cm (No. 8)
One atom of each set of equivalent atoms:
Cr 0.000 0.000 0.000 x2
Cr 0.415 0.244 0.502 x4
Co 0.159 0.500 0.507 x2
Co 0.244 0.243 0.006 x4
Te 0.001 0.500 0.225 x2
Te 0.168 0.000 0.729 x2
O 0.001 0.000 0.623 x2
O 0.001 0.500 0.611 x2
O 0.076 0.282 0.378 x4
O 0.094 0.224 0.876 x4
O 0.168 0.000 0.107 x2
O 0.169 0.500 0.122 x2
O 0.248 0.250 0.624 x4
O 0.313 0.000 0.888 x2
O 0.324 0.500 0.421 x2
O 0.326 0.500 0.922 x2
O 0.351 0.000 0.368 x2
O 0.416 0.251 0.122 x4

Properties
* magnetization: 0.375 μB/atom
* ΔE_f: -37.6 eV/f.u.
* crystal system: monoclinic

***

Density functional theory data (PBE with a Hubbard U) for crystalline V4CrCoO12 at its relaxed geometry.

Cell lengths 10.002, 9.083, 5.812 Å; angles 90.00, 110.08, 90.00 degrees
Space group C2 (No. 5)
One atom of each set of equivalent atoms:
V 0.200 0.000 0.484 x4
V 0.205 0.812 0.993 x4
Cr 0.000 0.324 0.500 x2
Co 0.000 0.492 0.000 x2
O 0.108 0.328 0.870 x4
O 0.115 0.486 0.404 x4
O 0.133 0.913 0.195 x4
O 0.140 0.178 0.463 x4
O 0.141 0.902 0.693 x4
O 0.142 0.639 0.967 x4

Properties
* magnetization: 0.385 μB/atom
* ΔE_f: -39.7 eV/f.u.
* crystal system: monoclinic

***

Density functional theory data (PBE with a Hubbard U) for crystalline CsCoCuF6 at its relaxed geometry.

Cell lengths 7.285, 7.495, 10.329 Å; angles 90.00, 90.00, 90.00 degrees
Space group Imma (No. 74)
One atom of each set of equivalent atoms:
Cs 0.000 0.250 0.126 x4
Co 0.250 0.250 0.750 x4
Cu 0.000 0.000 0.500 x4
F 0.000 0.250 0.431 x4
F 0.000 0.250 0.821 x4
F 0.194 0.057 0.625 x16

Properties
* magnetization: 0.417 μB/atom
* ΔE_f: -20.6 eV/f.u.
* crystal system: orthorhombic

***

Density functional theory data (PBE with a Hubbard U) for crystalline Cs4Co3F10 at its relaxed geometry.

Cell lengths 6.297, 14.679, 14.073 Å; angles 90.00, 90.00, 90.00 degrees
Space group Cmce (No. 64)
One atom of each set of equivalent atoms:
Cs 0.000 0.045 0.139 x8
Cs 0.000 0.244 0.391 x8
Co 0.000 0.000 0.500 x4
Co 0.000 0.121 0.653 x8
F 0.000 0.026 0.354 x8
F 0.000 0.245 0.147 x8
F 0.216 0.100 0.537 x16
F 0.250 0.115 0.750 x8

Properties
* ΔE_f: -45.0 eV/f.u.
* crystal system: orthorhombic

***

Density functional theory data (PBE with a Hubbard U) for crystalline Cs3CoF6 at its relaxed geometry.

Cell lengths 9.568, 9.568, 9.568 Å; angles 90.00, 90.00, 90.00 degrees
Space group Fm-3m (No. 225)
One atom of each set of equivalent atoms:
Cs 0.000 0.000 0.000 x4
Cs 0.250 0.250 0.250 x8
Co 0.000 0.000 0.500 x4
F 0.000 0.000 0.297 x24

Properties
* ΔE_f: -26.7 eV/f.u.
* crystal system: cubic

***

Density functional theory data (PBE with a Hubbard U) for crystalline CsCoF4 at its relaxed geometry.

Cell lengths 12.547, 12.547, 13.283 Å; angles 90.00, 90.00, 90.00 degrees
Space group I-4c2 (No. 120)
One atom of each set of equivalent atoms:
Cs 0.000 0.000 0.250 x4
Cs 0.159 0.335 0.327 x16
Co 0.000 0.500 0.000 x4
Co 0.077 0.210 0.999 x16
F 0.000 0.500 0.137 x8
F 0.004 0.345 0.499 x16
F 0.066 0.147 0.497 x16
F 0.076 0.212 0.137 x16
F 0.080 0.209 0.862 x16
F 0.221 0.279 0.000 x8

Properties
* magnetization: 0.267 μB/atom
* ΔE_f: -14.7 eV/f.u.
* crystal system: tetragonal

***

> ΔE_f of number 3 (CsCoCuF6)?

-20.6 eV/f.u.

***

> The lowest ΔE_f belongs to which entry?

Cs4Co3F10

***

> Among the records above, which one has the lowest ΔE_f?

Cs4Co3F10

***

> Among the records above, which one has the highest ΔE_f?

CsCoF4
........
# Brief
Please count the lines further above that contain the word "system" and give the number alone.
# Here it is
6